The period for making initial submissions/representations in the Community Governance Review closed on 28 October 2021.

You can view the initial submissions/representations received from town and parish councils, other organisations and members of the public. Supporting information/accompanying documentation to submissions is referenced in this document and can be accessed below:

  1. Blandford Town Council response
  2. Blandford St Mary Parish Council response
  3. Bryanston Parish Council response
  4. Tarrant Launceston and Monkton Parish Council response
  5. Bridport Town Council response
  6. Bridport Town Council response - ward 1 West Bridport and Allington 
  7. Bridport Town Council response - ward 2 Bridport Central
  8. Bridport Town Council response - ward 3 Bradpole
  9. Bridport Town Council response - ward 4 Bothenhampton and Walditch
  10. Bridport Town Council response - ward 5 West Bay
  11. Bridport Town Council response - written representations received 
  12. Allington Parish Council response
  13. Symondsbury Parish Council response 
  14. Symondsbury Parish Council response - plan of overall proposed boundary changes
# 1
Entry from OQMD via LeMat-Bulk: a relaxed structure of PrCu2SiP (PBE).

Magnetic moment, Bohr magnetons per cell: 0.0
E, eV/atom: -5.231
Symmetry: I4mm (107)
Density, kg/m³: 6643

abc: 4.077 4.077 9.839
angles: 90.00 90.00 90.00
Fractional positions:
1 Pr 0.000 0.000 0.000
2 Pr 0.500 0.500 0.500
3 Cu 0.000 0.500 0.251
4 Cu 0.000 0.500 0.751
5 Cu 0.500 0.000 0.251
6 Cu 0.500 0.000 0.751
7 Si 0.000 0.000 0.628
8 Si 0.500 0.500 0.128
9 P 0.000 0.000 0.390
10 P 0.500 0.500 0.890

=====

# 2
Entry from OQMD via LeMat-Bulk: a relaxed structure of PrSmCu2P4 (PBE).

Magnetic moment, Bohr magnetons per cell: 0.0
E, eV/atom: -5.666
Symmetry: P4mm (99)
Density, kg/m³: 6219

abc: 3.800 3.800 10.028
angles: 90.00 90.00 90.00
Fractional positions:
1 Pr 0.000 0.000 0.000
2 Sm 0.500 0.500 0.467
3 Cu 0.000 0.500 0.730
4 Cu 0.500 0.000 0.730
5 P 0.000 0.000 0.583
6 P 0.000 0.500 0.237
7 P 0.500 0.000 0.237
8 P 0.500 0.500 0.876

=====

# 3
Entry from OQMD via LeMat-Bulk: a relaxed structure of PrTaCu2P4 (PBE).

Magnetic moment, Bohr magnetons per cell: 0.0
E, eV/atom: -6.246
Symmetry: P4mm (99)
Density, kg/m³: 7355

abc: 3.679 3.679 9.556
angles: 90.00 90.00 90.00
Fractional positions:
1 Pr 0.000 0.000 0.000
2 Ta 0.500 0.500 0.559
3 Cu 0.000 0.500 0.294
4 Cu 0.500 0.000 0.294
5 P 0.000 0.000 0.460
6 P 0.000 0.500 0.748
7 P 0.500 0.000 0.748
8 P 0.500 0.500 0.135

=====

# 4
Entry from OQMD via LeMat-Bulk: a relaxed structure of CuP5Pt3 (PBE).

Magnetic moment, Bohr magnetons per cell: 0.0
E, eV/atom: -5.349
### The records of crystals stop here
  15. Symondsbury Parish Council response - plan - West Cliff
  16. Symondsbury Parish Council response - plan - Vearse Farm
  17. Symondsbury Parish Council response - plan - Pymore
  18. Bothenhampton and Walditch Parish Council - Chairman's response 
  19. Bradpole Parish Council response 
  20. Loders Parish Councillor response 
  21. Loders Parish Councillor response 
  22. Burton Bradstock Parish Council response 
  23. Member of the public response - Bradpole
  24. Broadmayne Parish Council response 
  25. Chesil Bank Parish Council response
  26. Chetnole and Stockwood Parish Council response 
  27. Colehill Parish Councillor response 
  28. Colehill Parish Councillor response 
  29. Holt Parish Council response 
  30. Furzehill Residents Association response 
  31. Gillingham Town Council response 
  32. Hilton Parish Council response 
  33. Member of the public response - Frome Vauchurch  
  34. Moreton Parish Council response
  35. Netherbury Parish Council response
  36. Loders Parish Council response 
  37. Vale of Allen Parish Council response
  38. Vale of Allen Parish Council response - Witchampton Crichel
  39. Vale of Allen Parish Council response - Witchampton - Bradford
  40. Vale of Allen Parish Council response - document "20211022_161340"
  41. Weymouth Town Council response 
  42. Weymouth Town Council response - summary of discussions with neighbouring parishes
  43. Weymouth Town Council response - warding - abandoned ideas
  44. Weymouth Town Council response - warding final
  45. Weymouth Town Council response - warding final
  46. Wimborne Town Council response 
  47. Wimborne Town Council response 
  48. Wimborne Town Council response 
  49. Winterborne Farringdon Parish Council response
  50. Winterborne St Martin Parish Council response

Following consideration of the submissions made, a report of draft recommendations will be considered by Full Council at its meeting on 15 February 2022.